Iron Lady Reporting From Palmyra

Mark Fritzer reports in from Palmyra, and brings us up to date on wonderful snorkeling and further experimentation with the high powered DC charging system. With comments on navigating with active SONAR in the tropics:

Someone pasted records of crystals at this point =
# 1
# CaDy2

CaDy2 after structural relaxation (GGA-PBE, Alexandria via LeMat-Bulk).

a b c (Å): 3.6292 3.6292 8.1902
angles (deg): 102.80 102.80 90.00
Last column: nearest neighbours and their distance in Å.
Positions (direct):
Dy: 0.3235 0.3235 0.6471  8 Dy 3.44-3.63, 4 Ca 3.76
Ca: 0.0000 0.0000 0.0000  4 Ca 3.63, 8 Dy 3.76
Dy: 0.6765 0.6765 0.3529  8 Dy 3.44-3.63, 4 Ca 3.76

Values from the calculation:
Formation enthalpy at 0 K: 0.066 eV per atom
Distance to the lowest polymorph of the same formula: 0.0 kJ per mole of atoms
Magnetization: 0.000 μB/f.u.


# 2
# CaDy3

CaDy3 after structural relaxation (GGA-PBE, Alexandria via LeMat-Bulk).

a b c (Å): 5.0936 5.0936 5.0936
angles (deg): 90.00 90.00 90.00
Last column: nearest neighbours and their distance in Å.
Positions (direct):
Dy: 0.5000 0.0000 0.5000  8 Dy 3.60, 4 Ca 3.60
Ca: 0.0000 0.0000 0.0000  12 Dy 3.60
Dy: 0.0000 0.5000 0.5000  8 Dy 3.60, 4 Ca 3.60
Dy: 0.5000 0.5000 0.0000  8 Dy 3.60, 4 Ca 3.60

Values from the calculation:
Formation enthalpy at 0 K: 0.135 eV per atom
Distance to the lowest polymorph of the same formula: 5.0 kJ per mole of atoms
Magnetization: 0.000 μB/f.u.


# 3
# CaDy3

CaDy3 after structural relaxation (GGA-PBE, Alexandria via LeMat-Bulk).

a b c (Å): 6.2304 6.2304 6.2304
angles (deg): 131.68 131.68 70.73
Last column: nearest neighbours and their distance in Å.
Positions (direct):
Dy: 0.2500 0.7500 0.5000  4 Ca 3.60, 8 Dy 3.60-3.61
Dy: 0.5000 0.5000 0.0000  8 Dy 3.60, 4 Ca 3.61
Ca: 0.0000 0.0000 0.0000  12 Dy 3.60-3.61
Dy: 0.7500 0.2500 0.5000  8 Dy 3.60-3.61, 4 Ca 3.60

Values from the calculation:
Formation enthalpy at 0 K: 0.128 eV per atom
Distance to the lowest polymorph of the same formula: 4.4 kJ per mole of atoms
Magnetization: 0.000 μB/f.u.


# 4
# CaDy3

CaDy3 after structural relaxation (GGA-PBE, Alexandria via LeMat-Bulk).

a b c (Å): 5.7338 5.7338 5.7338
angles (deg): 60.00 60.00 60.00
Last column: nearest neighbours and their distance in Å.
Positions (direct):
Ca: 0.5000 0.5000 0.5000  8 Dy 3.51
Dy: 0.2500 0.2500 0.2500  4 Dy 3.51, 4 Ca 3.51
Dy: 0.0000 0.0000 0.0000  8 Dy 3.51
Dy: 0.7500 0.7500 0.7500  4 Ca 3.51, 4 Dy 3.51

Values from the calculation:
Formation enthalpy at 0 K: 0.175 eV per atom
Distance to the lowest polymorph of the same formula: 8.9 kJ per mole of atoms
Magnetization: 0.006 μB/f.u.


# 5
# Ca2DyEr

Ca2DyEr after structural relaxation (GGA-PBE, Alexandria via LeMat-Bulk).

a b c (Å): 5.5220 5.0455 5.0455
angles (deg): 90.00 90.00 90.00
Last column: nearest neighbours and their distance in Å.
Positions (direct):
Ca: 0.0000 0.0000 0.5000  4 Ca 3.57, 4 Dy 3.74, 4 Er 3.74
Dy: 0.5000 0.5000 0.5000  4 Er 3.57, 8 Ca 3.74
Er: 0.5000 0.0000 0.0000  4 Dy 3.57, 8 Ca 3.74
Ca: 0.0000 0.5000 0.0000  4 Ca 3.57, 4 Dy 3.74, 4 Er 3.74

Values from the calculation:
Formation enthalpy at 0 K: 0.193 eV per atom
Distance to the lowest polymorph of the same formula: 0.0 kJ per mole of atoms
Magnetization: 0.027 μB/f.u.


# 6
# CaDy8Er4

We spent most of the day yesterday working on various maintenance items around the boat. Obviously, the list of maintenance for the completion of the cruising season once the boat arrives in Hawaii is extensive, but there is always a list of minor things that need to be done on a boat, so we tried to knock some of them out. As I mentioned before, the oil in the main was changed and while at it, we checked the zincs, air and bypass return filters, transmission fluid, belts, etc. and added a few items to the “it sure would be nice if they could do this on future boats” list. A couple of those items, such as captive studs on the floor bolts of the engine guard instead of bolts with washers, and modifying of the Murphy coolant gauge mount to make zinc access easier, have made it to the top of my list to discuss with everyone once I return. We also removed the rectifiers assemblies and flipped the fans over. After some testing at Circa, they found pushing air over the rectifiers cooled them better than drawing it through. I brought an alternator temperature sensor with me from Seattle, and we installed that on one of the rectifier assemblies to see if it helps to control the alternator temperature, by throttling back the charge output as the heat rises. We will test the results when we leave Palmyra. In the afternoon, captain Steve and I went out to a couple of the local snorkeling sites for a quick look around. Hands down, this is the most amazing snorkeling I have ever done. The reef and its inhabitants are simply astounding. I have never seen coral as colorful or dense, and the array of different sights is hard to describe. Hopefully, I will be able to post some photos upon my return to show what words would be hard pressed to describe.

We left Palmyra this morning at 0730. We are all sad to leave this incredibly well-maintained island paradise. The feeling is bittersweet, as we are all ready to be on the sea again and headed towards our destination, but have been touched by the significance of what we have seen here on the island. If you ever get the chance and have the time to jump through the very necessary hoops, I highly recommend making this stop your number one priority. Having a certification saying you have been inspected and cleared of carrying rats aboard, and a fresh hull cleaning are some of the easy, but mandatory steps required for entry. I would go so far as to bypass some of the other islands along this route to spend more time here. The scientists, Nature Conservancy, Fish and Wildlife and benefactors are all doing an incredible job of maintaining what may well be one of the last functioning reef ecosystems left in the world.

## Records of crystals, kept here for reference
********
[1]
The following is a DFT calculation (PBE-GGA) of a relaxed structure of NaLi6Br8.

Cell: 7.8462 7.8462 7.8462 Å, 60.00 60.00 60.00°
Fractional coordinates of all 15 atoms:
Br  0.2567  0.7433  0.7433
Br  0.7433  0.2567  0.7433
Br  0.7433  0.2567  0.2567
Br  0.2567  0.7433  0.2567
Br  0.2567  0.2567  0.7433
Br  0.7433  0.7433  0.2567
Br  0.7500  0.7500  0.7500
Br  0.2500  0.2500  0.2500
Li  0.0000  0.5000  0.5000
Li  0.5000  0.0000  0.5000
Li  0.0000  0.5000  0.0000
Li  0.0000  0.0000  0.5000
Li  0.5000  0.0000  0.0000
Li  0.5000  0.5000  0.0000
Na  0.0000  0.0000  0.0000

Summary:
Space-group type   Fm-3m, No. 225
Crystal system   cubic
Raw formation energy   -1.344 eV/atom

[2]
The following is a DFT calculation (PBE-GGA) of a relaxed structure of Cs2RbAs2.

Cell: 7.2710 7.2602 9.9281 Å, 100.85 90.00 120.05°
Last column: magnetic moment on the atom in μB.
Fractional coordinates of all 10 atoms:
As  0.3386  0.3326  0.5076  0.18
As  0.6614  0.6674  0.4924  0.18
As  0.9940  0.3326  0.0076  0.18
As  0.0060  0.6674  0.9924  0.18
Cs  0.2006  0.6986  0.3560  0.01
Cs  0.5020  0.3014  0.1440  0.01
Cs  0.4980  0.6986  0.8560  0.01
Cs  0.7994  0.3014  0.6440  0.01
Rb  0.0969  0.0000  0.7500  0.01
Rb  0.9031  0.0000  0.2500  0.01

Summary:
Energy above the lowest structure with this stoichiometry   0 meV per atom
Space-group type   C2/c, No. 15
Crystal system   monoclinic

[3]
The following is a DFT calculation (PBE-GGA) of a relaxed structure of MgTaRe.

Cell: 5.3330 5.3330 5.3330 Å, 143.58 143.58 52.46°
Fractional coordinates of all 3 atoms:
Mg  0.9939  0.9939  0.0000
Re  0.3164  0.3164  0.0000
Ta  0.6896  0.6896  0.0000

Summary:
Energy above the lowest structure with this stoichiometry   46 meV per atom
Space-group type   I4mm, No. 107
Crystal system   tetragonal

[4]
The following is a DFT calculation (PBE-GGA) of a relaxed structure of HfNpAs2.

Cell: 3.8109 3.8109 7.3840 Å, 75.05 75.05 60.00°
Last column: magnetic moment on the atom in μB.
Fractional coordinates of all 4 atoms:
As  0.2578  0.2578  0.2265  -0.06
As  0.0759  0.0759  0.7723  -0.05
Np  0.4973  0.4973  0.5082  3.91
Hf  0.6690  0.6690  0.9930  0.01

Summary:
Energy above the lowest structure with this stoichiometry   71 meV per atom
Space-group type   R3m, No. 160
Crystal system   trigonal

[5]
The following is a DFT calculation (PBE-GGA) of a relaxed structure of Ho8CoSb2.

Cell: 4.5081 7.2918 9.6173 Å, 96.60 103.55 90.00°
Fractional coordinates of all 11 atoms:
Ho  0.9990  0.2192  0.9979
Ho  0.0010  0.7808  0.0021
Ho  0.3638  0.9643  0.7276
Ho  0.2149  0.3460  0.4298
Ho  0.6362  0.0357  0.2724
Ho  0.4054  0.4825  0.8108
Ho  0.7851  0.6540  0.5702
Ho  0.5946  0.5175  0.1892
Co  0.5000  0.0000  0.0000
Sb  0.8183  0.2273  0.6366
Sb  0.1817  0.7727  0.3634

Summary:
Space-group type   C2/m, No. 12
Crystal system   monoclinic
Raw formation energy   -0.409 eV/atom

[6]
The following is a DFT calculation (PBE-GGA) of a relaxed structure of Cs4TeHCl.
********

Seeing the sides channel here that was blasted out of the reef by the Navy on the Furuno sonar makes me realize just how invaluable this piece of equipment can be to the voyaging cruiser. The ability to not only scan ahead, but the width, range and scope of the scan could be a game changer for those venturing off the beaten path. The course we are currently on is a good example. There are small buoys visible in the daylight that mark the channel, but that’s it. If you had to venture through here when visibility is poor or non-existent, it would be extremely hard and stressful to do so. Fortunately, the electronic charts match reality, but that is often not the case. Captain Steve was telling me that in the Marquesas and parts of Fiji, the electronic charts can sometimes be off by a half mile. Considering the faith that can be put in some of our modern day electronics, that could be catastrophic. A side note and reminder to that is that carrying current paper charts, and knowing how to plot a course on them, is still the best way to accurately know where you are. However, having forward-looking sonar with the capability to turn, rotate, and scale is a darn good tool to have at one’s fingertips.

When we fired up the main this morning our batteries were down to the 45% SOC level and reading 24.84 VDC. The ambient engine room temp was 91°F. Within a couple of minutes of firing up the main, both alternators had ramped up to 153 and 151 amps. They ran this way for about 10 minutes as the temperature slowly climbed. When the temperature at the rectifier that had the alternator temp sense lead climbed to 248°F, the regulator suddenly cut the alternator outputs back to 103 and 101 amps. The temperature started dropping and when it got back down to around 198°F, the regulator let the amperage climb back up again to the 150 amp range. Once there, the temperature immediately started to climb again back up to around 245°F. At that point, the regulator once again throttled the output back to the 100 amp range. It’s been cycling like that for several hours now, and as I have been monitoring the temperature of the regulators, seems to be keeping them within an acceptable temperature range. On one of my trips to the engine room, I put an amp clamp directly onto the AC then DC outputs and disconnected the temperature sense leads from the regulator. The amperage immediately shot up to full output and the temperature started to climb. I let it go until the regulators hit 300°F and then reattached the temp sense leads. Immediately, the amperage dropped back to 100 and 103 amps DC output and the temperature started to drop accordingly. An interesting side note is 3 wires connect the AC output from the alternator to the rectifier, one for each phase. Each of those wires carries roughly 1/3 the DC output current and 2/3 of the nominal DC voltage in AC. Knowing these numbers can help in determining if there is a winding issue starting to develop within the alternators themselves.

Well, back to life at sea and it’s time for my watch.

Posted by Sarah.Dashew  (August 29, 2013)

2 Responses to “Iron Lady Reporting From Palmyra”

  1. Bruce Says:

    I thought I had read the FPB’s were single phase for reliability. Am I mistaken or did something change.

    Having done a navy career, then merchant marine, followed by private yacht’s, all working in engineering I find this thread most enjoyable and interesting reading. Thank you.

  2. Steve Dashew Says:

    Yes, Bruce, single phase we are,